“He was probably just protecting himself from Cliff’s wrath,” she mutters. “Maybe he knows how psycho and unbalanced his ‘friend’ is and didn’t want to risk getting on his bad side by admitting what he told me.”

“That’s totally possible.”

I blow out a breath, wondering why I’m not enthusiastically agreeing with her. If she’s having doubts about Aaron, I should probably be stoking those doubts, not trying to put them out. Maybe it’s because of how the Sinners and I started, the way something so fucked up and vicious is turning into the best thing that’s ever happened to me.

“But in the end, he was also protecting you,” I add quietly. “Not only did he keep his shit together, he prevented a big fat target from being painted on you. If he admitted you hooked up with him to get dirt on Cliff, I’m pretty sure Cliff the fuckface would blame you a lot more than his buddy.”

She groans, running her hands through her hair. “See why I’m so fucking confused?” she says. “My feelings make me want to think he did it for me, when really he probably just did it for himself. It’s stupid. I’m stupid.”

“No, you’re not,” I tell her. “Look, I’m not one to judge relationships that start in messed up places. If you like Aaron, don’t just write off your feelings because they don’t make sense to you. Aaron’s not blameless here—he’s been friends with Cliff and taking his side for a long time, and Cliff is a piece of shit, okay?”

“You’re right.” She cocks her head, her eyebrows pulling together. “But you know what the weirdest part is? It’s almost like… it’s almost like Aaron knew what he was doing when he told me about the hooker. Maybe it wasn’t just a slip of his tongue. Maybe it was an active attempt to help me. To help you. Maybe he wanted us to use that against Cliff.”

I shrug. I’m not sure I agree with all of that, but I can tell Max really does have some kind of feelings for Aaron, and if I’m being honest, besides his association with Cliff, the guy really hasn’t done anything wrong.

“Look,” I tell her. “Go with what your gut tells you. If you want to see him, then see him. But the second he fucks with my best friend, I’ll kill him with my bare hands. No exceptions. No second chances.”

Max lets out a small laugh. “And that’s why I’m friends with you.”

We’re both quiet as we walk the rest of the way across campus. When we reach her building, she doesn’t go inside, just stands there.

“I think I’m going to go try to find him,” she says slowly. “Aaron, I mean. I want to clear the air between us and see if… see if I was right or if it’s just wishful thinking.”

I nod. “Okay. Good luck.”

I almost offer to go with her, but I know she won’t want me there. The looks that were passing back and forth between her and Aaron today make me think that, whatever this thing started as, it’s become real for both of them. I doubt she’ll want me chaperoning her talk with him, especially since his friend fucking hates me.

Honestly, I still don’t know how to feel about the fact that Max is into one of the Saints, but she didn’t judge my fucked up relationship with the Sinners, so I feel like I have to give her the benefit of the doubt here.

If it were Cliff she was interested in, that would be a different story. But Aaron seems different.

Leaving Max to sort out her guy problems, I head back to my dorm with a growling stomach.

It’s too late for the cafeteria to be open, and I know there really isn’t anything worth eating in my little kitchen. So instead of bothering with cupboards I know will be empty, I drop my bag off in my room and grab a hoodie, taking the short walk to the nearby downtown district that has some cheap bars and food joints.

Choosing comfort food tonight, I decide on a bar that serves greasy burgers and fries. The wait is short, but by the time I leave the bar with my hands shoved in my pockets, it’s dark.

I turn left and head down the sidewalk back toward campus, digging in my pocket for my phone to text the guys. I pull up Elias’s contact, my thumbs flying over the screen as I type out a message.

Suddenly, a car screeches.

There’s a dull thunk, and bright headlights cast harsh shadows in front of me, making my own shadow stretch out like some kind of monster.

Fuck. That car is right behind me.

My stomach flips over as adrenaline spikes in my veins, and I throw myself to the side, my body acting on pure instinct.

The car hops the curb and cuts over the sidewalk, missing me by bare inches as I go flying onto the hard pavement. The dark vehicle speeds away with another loud screech as I mutter a stream of curses, my wrists and ass throbbing from the impact of hitting the ground.

The piece is interrupted by data records >
(1)
This entry pairs a crystal structure of CsLiPbS2 with its simulated powder diffractogram. Radiation: Cu Kα. Structure: a PBE-relaxed structure.
Kinematic intensities with the Lorentz-polarization factor, no thermal factor.

Peak list (12 most intense, 2θ from 10° to 80°, by intensity)
| hkl | Position (°2θ) | I (rel.) |
| --- | --- | --- |
| 1 1 -1 | 23.10 | 100 |
| 0 0 2 | 18.47 | 79 |
| 3 1 2 | 33.06 | 59 |
| 4 0 -1 | 24.53 | 57 |
| 3 1 1 | 28.57 | 56 |
| 3 1 0 | 26.80 | 55 |
| 1 1 -3 | 35.14 | 47 |
| 4 0 1 | 25.07 | 46 |
| 2 0 2 | 22.08 | 42 |
| 2 0 -3 | 29.87 | 35 |
| 2 0 -1 | 14.47 | 33 |
| 6 0 3 | 45.81 | 32 |

Structure:
```
data_CsLiPbS2
_chemical_formula_sum 'Cs4 Li4 Pb4 S8'
_cell_length_a 15.4883
_cell_length_b 4.3507
_cell_length_c 9.6101
_cell_angle_alpha 90.00
_cell_angle_beta 91.75
_cell_angle_gamma 90.00
_space_group_name_H-M_alt 'C 1 2/m 1'
_space_group_IT_number 12
loop_
_space_group_symop_operation_xyz
'x,y,z'
'-x,-y,-z'
'-x,y,-z'
'x,-y,z'
'x+1/2,y+1/2,z'
'-x+1/2,-y+1/2,-z'
'-x+1/2,y+1/2,-z'
'x+1/2,-y+1/2,z'
loop_
_atom_site_label
_atom_site_fract_x
_atom_site_fract_y
_atom_site_fract_z
Cs1 0.1657 0.0000 0.1786
Li1 0.1965 0.0000 0.5619
Pb1 0.0606 0.5000 0.7043
S1 0.1433 0.5000 0.4677
S2 0.1539 0.0000 0.8105
```


(2)
This entry pairs a crystal structure of CsLiPmSe2 with its simulated powder diffractogram. Radiation: Cu Kα. Structure: a PBE-relaxed structure.
Kinematic intensities with the Lorentz-polarization factor, no thermal factor.

Peak list (12 most intense, 2θ from 10° to 80°, by intensity)
| hkl | Position (°2θ) | I (rel.) |
| --- | --- | --- |
| 1 3 1 | 25.34 | 100 |
| 2 0 2 | 37.76 | 43 |
| 0 2 1 | 17.46 | 41 |
| 0 2 2 | 29.04 | 30 |
| 2 2 0 | 28.67 | 29 |
| 0 0 1 | 13.24 | 28 |
| 0 6 2 | 44.08 | 21 |
| 2 6 0 | 43.82 | 20 |
| 3 3 1 | 45.77 | 20 |
| 1 5 1 | 34.32 | 19 |
| 1 3 3 | 46.27 | 18 |
| 2 8 2 | 61.39 | 16 |

Structure:
```
data_CsLiPmSe2
_chemical_formula_sum 'Cs4 Li4 Pm4 Se8'
_cell_length_a 6.7891
_cell_length_b 15.6206
_cell_length_c 6.6895
_cell_angle_alpha 90.00
_cell_angle_beta 90.00
_cell_angle_gamma 90.00
_space_group_name_H-M_alt 'C m m e'
_space_group_IT_number 67
_space_group_name_Hall '-C 2a 2'
loop_
_atom_site_label
_atom_site_fract_x
_atom_site_fract_y
_atom_site_fract_z
Cs1 0.0000 0.2500 0.2324
Li1 0.0000 0.0000 0.0000
Pm1 0.2500 0.0000 0.5000
Se1 0.0000 0.1093 0.7403
```


(3)
This entry pairs a crystal structure of CsLiPrSe2 with its simulated powder diffractogram. Radiation: Cu Kα. Structure: a PBE-relaxed structure.
Kinematic intensities with the Lorentz-polarization factor, no thermal factor.

Peak list (12 most intense, 2θ from 10° to 80°, by intensity)
| hkl | Position (°2θ) | I (rel.) |
| --- | --- | --- |
| 1 3 1 | 25.17 | 100 |
| 2 0 2 | 37.53 | 43 |
| 0 2 1 | 17.32 | 39 |
| 0 2 2 | 28.81 | 29 |
| 2 2 0 | 28.55 | 28 |
| 0 0 1 | 13.13 | 24 |
| 1 5 1 | 34.09 | 20 |
| 0 6 2 | 43.74 | 20 |
| 3 3 1 | 45.55 | 20 |
| 2 6 0 | 43.56 | 19 |
| 1 3 3 | 45.90 | 18 |
| 2 8 2 | 60.95 | 18 |

My heart races as I push myself up on shaking limbs, my breath coming in choppy gasps.

Holy shit. What the fuck was that?

I stagger after the car, my brain conjuring up some half-formed idea that I need to get the license plates, I need to get some identifying features—even though whoever almost hit me is long gone.

- - -
No. 1
Diffraction record for Y3Ge13Ru4. The powder XRD pattern is computed, not measured: it uses DFT lattice parameters and positions (PBE) and CuKα.
Lines closer than 0.1° are merged.

Cell and atoms:
```
Y3Ge13Ru4
1.0
9.0078 0.0000 0.0000
0.0000 9.0078 0.0000
0.0000 0.0000 9.0078
Y Ge Ru
6 26 8
Cartesian
0.0000 2.2519 4.5039
0.0000 6.7558 4.5039
2.2519 4.5039 0.0000
4.5039 0.0000 2.2519
4.5039 0.0000 6.7558
6.7558 4.5039 0.0000
0.0000 0.0000 0.0000
0.0000 2.7621 1.3484
0.0000 2.7621 7.6594
0.0000 6.2457 1.3484
0.0000 6.2457 7.6594
1.3484 0.0000 2.7621
1.3484 0.0000 6.2457
1.7418 4.5039 3.1555
1.7418 4.5039 5.8523
2.7621 1.3484 0.0000
2.7621 7.6594 0.0000
3.1555 1.7418 4.5039
3.1555 7.2660 4.5039
4.5039 3.1555 1.7418
4.5039 3.1555 7.2660
4.5039 4.5039 4.5039
4.5039 5.8523 1.7418
4.5039 5.8523 7.2660
5.8523 1.7418 4.5039
5.8523 7.2660 4.5039
6.2457 1.3484 0.0000
6.2457 7.6594 0.0000
7.2660 4.5039 3.1555
7.2660 4.5039 5.8523
7.6594 0.0000 2.7621
7.6594 0.0000 6.2457
2.2519 2.2519 2.2519
2.2519 2.2519 6.7558
2.2519 6.7558 2.2519
2.2519 6.7558 6.7558
6.7558 2.2519 2.2519
6.7558 2.2519 6.7558
6.7558 6.7558 2.2519
6.7558 6.7558 6.7558
```

Top 6 peaks for 2θ from 10° to 90°, most intense first:
| Position (°2θ) | I_rel |
| --- | --- |
| 35.9 | 100.0 |
| 37.4 | 38.2 |
| 49.6 | 35.6 |
| 40.0 | 30.1 |
| 45.0 | 20.6 |
| 69.2 | 18.4 |

***

No. 2
Diffraction record for Er6FeSb2. The powder XRD pattern is computed, not measured: it uses DFT lattice parameters and positions (PBE) and CuKα.
Lines closer than 0.1° are merged.

Cell and atoms:
```
Er6FeSb2
1.0
8.1459 0.0000 0.0000
-4.0730 7.0546 0.0000
0.0000 0.0000 4.1081
Er Fe Sb
6 1 2
Cartesian
-0.9600 1.6627 0.0000
-2.4716 4.2809 2.0541
1.9200 0.0000 0.0000
1.6014 2.7737 2.0541
4.9431 0.0000 2.0541
3.1130 5.3918 0.0000
0.0000 0.0000 2.0541
0.0000 4.7031 0.0000
4.0730 2.3515 0.0000
```

Top 6 peaks for 2θ from 10° to 90°, most intense first:
| Position (°2θ) | I_rel |
| --- | --- |
| 30.9 | 100.0 |
| 33.6 | 60.5 |
| 33.5 | 52.8 |
| 56.6 | 27.7 |
| 40.3 | 27.1 |
| 38.3 | 25.6 |

***

No. 3
Diffraction record for GeSe2. The powder XRD pattern is computed, not measured: it uses DFT lattice parameters and positions (PBE) and CuKα.
Lines closer than 0.1° are merged.

Cell and atoms:
```
GeSe2
1.0
7.2002 0.0000 0.0000
0.0000 17.2509 0.0000
-0.1921 0.0000 12.8973
Ge Se
16 32
Cartesian
1.1010 2.6613 3.5613
1.0049 5.9641 10.0099
1.0594 11.9027 9.9969
1.1555 13.9736 3.5483
2.2699 2.5897 9.3450
2.3659 6.0357 2.8964
2.3935 17.2466 2.6564
2.2974 8.6298 9.1051
4.6146 0.0043 10.2409
4.7107 8.6211 3.7922
4.6422 11.2152 10.0009
4.7382 14.6612 3.5522
5.8526 3.2773 9.3490
5.9487 5.3482 2.9003
6.0032 11.2868 2.8874
5.9071 14.5896 9.3360
0.4744 2.9402 7.8100
0.5704 5.6852 1.3614
1.1621 11.7212 2.7277
1.0661 14.1552 9.1763
1.0972 10.4629 8.0945
1.1932 15.4135 1.6459
1.5382 0.6527 4.8053
1.4422 7.9728 11.2539
1.9163 1.9846 1.4022
1.8202 6.6408 7.8508
2.2490 0.4153 10.3613
2.3451 8.2101 3.9126
2.2868 4.2238 11.0848
- - -
The piece goes on

I barely make it three steps before I’m hit with a wave of memories, like walking straight into a brick wall.

My body jolts, lurching to a stop as my eyes open wide. I barely see the street in front of me anymore though. Instead, in my mind’s eye, I see a dark stairc